Could you filter the calculation results further down: keep the lines with the word "optimized"?

~~~
This record from Alexandria via LeMat-Bulk describes an optimized crystal structure of NiAsOs2. The functional is PBE.

Properties
Its crystal system is trigonal. The formation energy from the elements is 458 meV/atom. Its symmetry is No. 166. Its volume is 14.012 Å³ per atom.

The structure in extended XYZ format:
```
4
Lattice="-6.754 4.533 -0.903 -7.184 3.522 1.717 -5.580 5.836 1.332" Properties=species:S:1:pos:R:3 pbc="T T T"
Ni -14.639 10.418 1.610
As -4.880 3.473 0.537
Os -9.789 6.967 1.077
Os -19.488 13.869 2.143
```

=====

Density functional theory data (GGA-PBE) for an optimized crystal structure of AcSm2Pu.

Computed properties:
- Total magnetic moment: 6.52 μB/cell

Cell and atoms, written as extended XYZ:
```
4
Lattice="3.694 0.000 0.000 0.000 3.694 0.000 0.000 0.000 10.202" Properties=species:S:1:pos:R:3 pbc="T T T"
Ac 0.000 0.000 0.000
Sm 1.847 1.847 2.770
Sm 1.847 1.847 7.433
Pu 0.000 0.000 5.101
```

=====

Density functional theory data (GGA-PBE) for an optimized crystal structure of AcSm2Pu.

Computed properties:
- Total magnetic moment: 7.08 μB/cell

Cell and atoms, written as extended XYZ:
```
4
Lattice="6.035 0.000 0.000 0.000 6.035 0.000 0.000 0.000 3.853" Properties=species:S:1:pos:R:3 pbc="T T T"
Ac 0.000 0.000 0.000
Sm 0.000 3.018 1.927
Sm 3.018 0.000 1.927
Pu 3.018 3.018 0.000
```

=====

Density functional theory data (GGA-PBE) for an optimized crystal structure of AcSmPuSn.

Computed properties:
- Total magnetic moment: 28.04 μB/cell

Cell and atoms, written as extended XYZ:
```
16
Lattice="7.897 0.000 0.000 0.000 7.897 0.000 0.000 0.000 7.897" Properties=species:S:1:pos:R:3 pbc="T T T"
Ac 0.000 0.000 0.000
Ac 0.000 3.948 3.948
Ac 3.948 0.000 3.948
Ac 3.948 3.948 0.000
Sm 1.974 1.974 5.923
Sm 1.974 5.923 1.974
Sm 5.923 1.974 1.974
Sm 5.923 5.923 5.923
Pu 1.974 1.974 1.974
Pu 1.974 5.923 5.923
Pu 5.923 1.974 5.923
Pu 5.923 5.923 1.974
Sn 0.000 0.000 3.948
Sn 0.000 3.948 0.000
Sn 3.948 0.000 0.000
~~~

This record from Alexandria via LeMat-Bulk describes an optimized crystal structure of NiAsOs2. The functional is PBE.
Density functional theory data (GGA-PBE) for an optimized crystal structure of AcSm2Pu.
Density functional theory data (GGA-PBE) for an optimized crystal structure of AcSm2Pu.
Density functional theory data (GGA-PBE) for an optimized crystal structure of AcSmPuSn.